Sunday, December 12, 2004

No More Vietnams - Six

CHAPTER SIX - Third World War


This is not just WWIII but also war in the Third World. Nixon begins by admitting that the US defeat in the Vietnam War was the Soviet Union’s greatest victory. Nixon then catalogs our losses during the Carter administration and credits Reagan with ending the losing streak. Nixon warns of the dangers of the "New Isolationism". He discusses the various types of wars and US success and failure in each. Nixon gives evidence that diplomacy and economics are not enough. He gives warning of the dangers of unconventional war and points out the disastrous and long term effects of Carter’s failure in Iran. Nixon then sets forth his own "Nixon" Doctrine and four supporting points. 1) Veitnamization (training for our allies) first.
2) Allowing allies to fight in the best way to meet threats. 3) Not requiring allies to be perfect, just better than our enemies. 4) not ignoring the sources of insurgency. Nixon explains why we failed in Hungry and Cuba and how Reagan succeeded in Granada. He warns that over and under confidence are both to be avoided. Nixon presents conditions for going to war, foreshadowing the "Powell" doctrine and defines what "national" interests are. Nixon speaks prophetically of the growing danger of terrorism; describing its threat and recommending a defense. Nixon explains how international action and not UN resolutions will counter terrorism. Next, Nixon explains the role Congress should play in the Third World war; referencing the disastrous effects of Congressional meddling in Vietnam and since. He calls for covert war and the need to restore legitimate Presidential power. Nixon explains why Communism will fail, (he was right!) and how the Third World war will need to be fought economically as well as militarily. The US and its allies must give economic support to third world nations because Capitalism and freedom do work. Nixon defends multinational economics and calls for bipartisan support of foreign economic policy. Nixon warns of the dangers of nuclear proliferation. Nixon also calls on future Presidents to articulate the "great causes" by which they call the people of America to fight. He ends his book by warning the we will need to fight wars again but we need to win them. In the authors note Nixon gives the over arching reason for his book, countering the lies of biased media and academics.


1. "Saigon’s fall . . . was the Soviet Union’s greatest victory in one of the key battles of the Third World war." (Pg 212)

2. "Since President Reagan took office in 1981, America’s first international losing streak has been halted. . . . We must purge ourselves of the paralyzing sickness of the Vietnam syndrome if we are to avoid other defeats in the battles of the Third World war." (Pg 212)

3. ". . . the new isolationists contend that the united States has no strategic interests in the Third World that would justify the use of our military power, . . . We must be concerned because it would be the height of immorality to stand by and allow millions of people to suffer the fate of the people of Vietnam and other Third World countries that have had repressive totalitarian regimes imposed upon them. . . . Except for Afghanistan, where they are attempting to suppress a counterrevolution against a Soviet puppet regime, Moscow has gained domination over nine Third World countries since 1974 without committing any troops to combat." (Pgs 213 and 214)

4. ". . . superior conventional forces will not prevail against an enemy who wages unconventional war. Helping a government stop a violent revolution militarily without helping it deal with the economic conditions. . . buy only short-lived victory." (Pg 215)

**Calculated crystals that have nothing to do with the page:**
A relaxed structure of CaNdGa3O7. Source: Materials Project, functional PBE-GGA.

Output
V	673.9	Å³/cell
total magnetization	0.00	μB/cell
energy of formation	-2.816	eV per atom
energy above the most stable polymorph in this dataset	3	meV per atom

Cell: 11.237 11.347 5.285 Å, 90.00 90.00 90.00°
Space group Cmm2 (No. 35)
Inequivalent atoms, fractional coordinates:
Ca 0.160 0.000 0.000 x4
Nd 0.000 0.337 0.973 x4
Ga 0.000 0.143 0.521 x4
Ga 0.146 0.500 0.447 x4
Ga 0.250 0.250 0.477 x4
O 0.000 0.000 0.690 x2
O 0.000 0.145 0.177 x4
O 0.000 0.500 0.276 x2
O 0.124 0.220 0.693 x8
O 0.134 0.500 0.791 x4
O 0.212 0.374 0.266 x8

***

A relaxed structure of CaNdGa3O7. Source: Materials Project, functional PBE-GGA.

Output
V	337.4	Å³/cell
total magnetization	0.00	μB/cell
energy of formation	-2.820	eV per atom
energy above the most stable polymorph in this dataset	0	meV per atom

Cell: 5.293 7.975 7.995 Å, 90.00 90.28 90.00°
Space group P2_1 (No. 4)
Inequivalent atoms, fractional coordinates:
Ca 0.014 0.000 0.420 x2
Nd 0.014 0.322 0.095 x2
Ga 0.463 0.807 0.605 x2
Ga 0.465 0.519 0.893 x2
Ga 0.500 0.162 0.751 x2
O 0.191 0.027 0.100 x2
O 0.194 0.305 0.379 x2
O 0.282 0.000 0.668 x2
O 0.282 0.575 0.088 x2
O 0.293 0.319 0.853 x2
O 0.294 0.760 0.406 x2
O 0.295 0.658 0.747 x2

***

A relaxed structure of CaGa3Ni2. Source: Materials Project, functional PBE-GGA.

Output
V	398.7	Å³/cell
energy of formation	-0.482	eV per atom

Cell: 9.780 7.893 5.165 Å, 90.00 90.00 90.00°
Space group Cmcm (No. 63)
Inequivalent atoms, fractional coordinates:
Ca 0.000 0.156 0.250 x4
Ga 0.000 0.450 0.750 x4
Ga 0.188 0.222 0.750 x8
Ni 0.211 0.500 0.000 x8

***

A relaxed structure of CaGa2O4. Source: Materials Project, functional PBE-GGA.

Output
V	771.4	Å³/cell
total magnetization	0.00	μB/cell
energy of formation	-2.635	eV per atom
energy above the most stable polymorph in this dataset	1	meV per atom

Cell: 8.074 8.938 10.729 Å, 90.00 94.87 90.00°
Space group P2_1/c (No. 14)
Inequivalent atoms, fractional coordinates:
Ca 0.001 0.215 0.128 x4
Ca 0.463 0.239 0.144 x4
Ga 0.175 0.556 0.138 x4
Ga 0.235 0.058 0.370 x4
Ga 0.291 0.608 0.617 x4
Ga 0.301 0.096 0.890 x4
O 0.028 0.529 0.829 x4
O 0.138 0.744 0.069 x4
O 0.209 0.072 0.044 x4
O 0.233 0.244 0.285 x4
O 0.274 0.586 0.303 x4
O 0.278 0.083 0.541 x4
O 0.369 0.566 0.782 x4
O 0.488 0.663 0.552 x4

***

A relaxed structure of CaGa4O7. Source: Materials Project, functional PBE-GGA.

Output
V	673.2	Å³/cell
energy of formation	-2.506	eV per atom

Cell: 13.279 9.219 5.681 Å, 90.00 104.55 90.00°
Space group C2/c (No. 15)
Inequivalent atoms, fractional coordinates:
Ca 0.000 0.208 0.250 x4
Ga 0.121 0.436 0.745 x8
Ga 0.160 0.085 0.815 x8
O 0.000 0.464 0.250 x4
O 0.113 0.249 0.636 x8
O 0.114 0.067 0.096 x8
O 0.193 0.439 0.080 x8

***

A relaxed structure of CaGa2O4. Source: Materials Project, functional PBE-GGA.

Output
V	757.2	Å³/cell
total magnetization	0.00	μB/cell
energy of formation	-2.636	eV per atom

5. "At another extreme are those who say that poverty is the problem, and that instead of providing military aid to ensure security, we should provide economic aid to promote progress. . . . when President Truman asked for military and economic aid to Greece and Turkey to meet the threat of Soviet-supported Communist guerrillas in Greece. Along with other congressmen, my office was flooded with hundreds of postcards reading, "Send food, not arms." We resisted the pressure and voted for the Truman program. If we had sent food only and not arms, Greece would be Communist today. . . there can be no progress without security." (Pg 216)

6. "Diplomacy cannot succeed without military power to back it up. For example, when President Carter ruled out the use of force at the outset of the Iranian hostage crisis, he weakened the effectiveness of diplomacy to resolve it.. . . " (Pg 216)

7. "I formulated the Nixon Doctrine. It states that in the future, unless a major power intervened in the Third World conflict, the U.S. should not commit its combat forces. [four points clarify]" (pg 218)

8. "[1] The policy of "Vitenamization" should have been imitated at the beginning of the war..." (Pg 218)

9. "[2] Armies should be equipped and trained to meet the threat they are facing.

10. "[3] . . . our choice is usually not between our allies and someone better by between our allies and something far worse." (Pg 218)
10a. "[ 4] . . . we must not make the mistake of helping our allies fight the insurgency and ignoring the source of the insurgency." (Pgs 219)

11. "The record is clear. Cubans are worse off under Castro than under Batista. The Vietnamese are worse off under the Communist Le Duan than under Thieu. Cambodians were worse off under Pol Pot than under Lon Nol. . . . We must never take a course of action that results in the fall o f a government that permits some freedom and the victory of one that permits none." (Pgs 218-219)

12. "We must not make the tragic mistakes we made in Hungary in 1956 and at the Bay of Pigs in 1961, where we encouraged revolutions against Communist regimes and then failed to support our friends when they came under attack from superior forces.. . . The freedom fighters in Afghanistan also deserve support, especially because this is the only leverage we have on the Soviets to mitigate their repression in that country." (Pg 219)

13. "In Nicaragua we should help the contras as long as the Sandinistas continue to support the guerillas in El Salvador, . . . we will be justified in continuing aid to the contras only if we are prepared to see it through in the event that they come under attack from superior forces." (Pg 219)

14. "The successful operation in Grenada served three important purposes: It rescued Americans whose lives were in danger; it removed the possibility of another Soviet base being constructed in the Caribbean; and most important, it erased some of the felling of impotence we developed after the fall of Saigon." (Pgs 219-220)

15. "But while it would be dangerous to assume that Graenada proved we could do every thing, it is even more dangerous to assume that because we failed in Vietnam, we will fail everywhere." (Pg 220)

16. "[for military involvement] conditions are met; ... [1] vital to our national interests;. . . commit forces only as a last resort; . . . [2] winnable in that we have the means to achieve our goal of victory; [3] and we must have assurance of support by Congress and the public." (Pg 220)

17. "Our vital interests are affected by what happens in other parts of the world as well. . . . If we define our vital interests too narrowly solely out of fear of getting involved in another Vietnam we run the risk of abandoning millions of people to totalitarianism and eventually, of losing the Third World war." (Pgs 220-221)

18. "The same principle applies to international terrorism. Some urge restraint in retaliation against terrorism because of the admittedly significant risk of casualties among civilians, hostages, and our military personnel. But while we cannot act in every instance of terrorism, we should always act decisively when we know who is responsible and where they are. Otherwise we give carte blanche to these international outlaws to strike again. If one group of terrorists succeeds in intimidating the United States, others will be encouraged to try, and more lives will undoubtedly be lost as a result. Swift, timely retaliation, even if there is some risk to innocent people, will mean that other terrorists will be less likely to threaten and kill innocent people in the future. Repeated threats to retaliate that are not followed by action are counterproductive. A president of the United States should warn only once. Terrorism, whether undertaken by states, political groups, or individuals, is one of the most insidious and deadly aspects of the Third World war. . . . If the United States wants to continue to play a role in the Third World, it must attack terrorism at its source." (Pgs 221-222)

19. "Terrorism is a way to divide and conquer – but only if its victims allow themselves to be divided. When terrorists act against one nation, other nations should respond as if it is an attack on them all – because, in essence, it is." (Pg 223)

20. "Terrorists will not be deterred by UN resolutions or expressions of outrage by leaders and legislatures. But they may be deterred once they realize that by using terror they will spark the wrath of all nations that do not want to exist in a world riven by a tiny minority who have resorted to violence in pursuit of their objectives." (Pg 223)

21. "Wars cannot be waged without the support of the Congress and the people. But there are times when the Congress and the people may not recognize our vital interests in Third World conflicts. Leaders should lead and not just follow uninformed public opinion. It is their responsibility to educate the people and the Congress about where our vital interests are and then gain support for whatever military actions may be necessary to protect them. Leaders who do only what opinion polls indicate uninformed voters will support are not true leaders, and if America follows them, it will cease to be a great nation."

22. "A president must not be faced with the option of either waging total war or accepting total defeat. . . .Congress has tried to force Presidents to make exactly that choice by passing measures that drastically curtail their ability to use limited and unconventional military power. The War Powers Act makes it impossible for a President to act swiftly and secretly in a crisis and permits Congress to pull our troops out simply by doing nothing – by failing to pass either resolutions for or against the President’s action. The Foreign Assistance Act Limits aid to governments that do not have squeaky-clean human rights records. . . . The Clark Amendment of 1976, which forbade covert aid to the freedom fighters in Angola, gave Cuba and the Soviet Union the green light . . . The Boland Amendment of 1982 paved the way for the disastrous decision by Congress to cut off all covert aid to the contras fighting the Sandinistas in Nicaragua." (Pg 225)

23. ". . . we must face up to the reality that covert war is a fact of life in the Third World.." (Pg 226)

24. "Congressional leadership means leadership by consensus, and consensus leadership is not leadership. . . A president, however, must look, think, and then act decisively. The War Powers Act and the other measures that limit a President’s latitude are lingering symptoms of the Vietnam syndrome, manifestations of the fear of our own strength that swept American following our failure in Indochina." (Pg 226)

25. "Ironically, in the long run the Communists lose when they win in the Third World, because Soviet socialism does not work." (Pg 227)

26. "Communism no longer has appeal to the masses. It promises peace and produces war. It promises liberation and produces tyranny. It promises justice and produces gulags. It promises progress and produces poverty. . . . The major geopolitical development since the end of World War II has been that the Communists have lost the ideological battle in the world." (Pg 227)

27. "Tinhorn dictators skimmed off billions of dollars in graft to feather their nests. Demagogues . . . built monuments to themselves rather than leaving a legacy of progress for their people." (Pg 227)

28. "We have left the impression that we become actively involved in the Third World only when our interests are threatened by Communist aggression. We must now develop polices that address their interests." (Pg 229)

29. "We and our allies must be as bold and generous in helping Third World countries down the road to economic progress as the U.S. was in helping Europe and Japan recover after World War II." (Pg 229)

30. ". . . big business has already done a great deal to spur economic development in the "Third World. It should be encouraged to do more." (Pg 232)

31. "Bipartisanship in foreign policy was one of the major casualties of the Vietnam War. It is crucially important that our Third World initiative begin as a bipartisan effort and stay that way. . . . Unless we decide at the outset that our effort to win the Third World war will not be a political football, there will always be the danger that it the future a President or the Congress, eyeing the next election, will punt and give the ball back to the other side." (Pg 233)

32. "While the Soviets want the world, they do not want war. . . . And as a major nuclear power, the Soviets are concerned abut the proliferation of nuclear weapons, just as we are, and about the possibility that an international outlaw like Qaddafi might acquire such weapons." (Pg 235)

33. "But America is a great nation . Great nations must be mature enough to accept the fact that you do not win all the time. Defeat is never fatal unless you give up, and American must never give up. We must not turn away from our responsibilities in the world. If we refuse to play a major role, the rest of the free world will be at the mercy of totalitarian aggressors.. . . Where freedom is destroyed anywhere, it is threatened in ‘America." (Pg 236)

34. ". . . Woodrow Wilson’s greatest contributions . . . "a war to end wars", a war "to make the world safe for democracy". . . . Roosevelt and Churchill inspired . . . the Four Freedoms and eventually a new world organization that would initiate an era of peace. . . . Thomas Jefferson said, "We act not for ourselves alone but for the whole human race. " Lincoln proclaimed, "We shall nobly save or meanly lose the last best hope of earth." . . . Appeals to our highest ideals have never failed to move Americans to support great causes. To make the world safe not only for ourselves but for others is a great cause." (Pg 237)

35. "In Vietnam, we tried and failed in a just cause. "No more Vietnams" can mean that we will not try again. It should mean that we will not fail again." (Pg 237)

36. [FROM THE AUTHOR’S NOTE] "This book was not written to preempt historians. It was written because both during and after the war, as President and private citizen, I found that televison and newspaper coverage of the Vietnam War described a different war from the one I knew, and that the resulting misimpressions formed in the public’s mind were continuing to haunt our foreign policy."


Lysis said...

Thank you Layton-Lancer. I also want to thank Dannyboy one more time for telling me about this book. I think Nixon did a great job with this book, I have always held him to be one of the greatest men every to lead our country, and I am saddened by the why he suffered in office and in life. I hope history will be more kind - more truthful. As for the book - everything we need to know in order to win the war on Terror is clearly presented in this book. I hope you will all read it. I have ordered five more copies off e-bay and hope to share with all who will listen. I have started sending e-mails to news/talk programs etc. in the hopes that these ideas can come forth at this time when they are needed. Sometimes I feel like a very small “fly” trying to sting a very large “horse”. Thank you for reading my synopsis of Nixon’s book. Please share it with everyone you can.

Dan said...

Lysis, out of curiousity, how do you see the big downfall of Nixon. I have to say (sheepishly) that I don't really know much about the Watergate scandal, but it seems to me like Nixon really did screw up big time. From what I know it seems like Nixon originally didn't know about what was going on, then found out and covered it up. It also seems like if he would have not tried to cover anything up, it would have faded away into a minor scandal.

Your thoughts Lysis?

Lysis said...

Dannyboy - In my opinion the Watergate affair was a media mugging of President Nixon. The media hated Nixon as they did Reagan and do Bush. Yes, Nixon did wrong in that as you said, when he know the truth of the break-in he tried to cover it up. In the process he directed people to lie to Congress and he deceived the American people. He did not order the breaking at the Watergate and did not know about it until after it was done. If he would have admitted that his campaign was involved in this petty crime, would he have been forgiven? We will never know, but he was crucified for little more. It amazed me that during the Clinton scandal - the same Media rushed to Clinton’s defense and vilified those who questioned his position. Niether responses had anything to do with truth nor justice. Nixon should not have lied NOR should he
have been forced out of office. The media tried the same tactic against Reagan over Iran/Contra and tried to stretch those same accusations against Bush the 1st. Carter, on the other hand, got a free pass for all of his failures and Clinton was defended by the media for far worse crimes against the truth and law than those of Nixon. The media destroyed our nations efforts in the Vietnam War and they destroyed President Nixon. Their power is indeed daunting!

Medicine said...

Nixon warns of the dangers of the "New Isolationism".